"Lord of the Rings: The Two Towers" Review
© 2002 Fontaine L.
- spoilers -

I'm not sure how much the change in my opinion towards this movie franchise is due to me having read Lord of the Rings over the summer. That's right, after having seen the Fellowship of the Ring movie, and before this one. Don't worry, the change isn't a drastic one. I'm simply beginning to see Peter Jackson's formula (and part of that might have to do with me seeing Fellowship five times). What's wonderful about Lord of the Rings is still wonderful, and what's not has become more evident since I was able to prevent myself from being as wrapped up in the procession of events as I was during the first movie. This was easy to do since I'd already known what was going to happen . . . but unfortunately this also meant that my brain immediately went to work picking at what changes were made between book and film, why they were made, and if these changes were justified. Which is, in my opinion, the worst way to view a film that is, yes, an adaptation of a book, but in the end it is something that should stand on its own. Between these thoughts and Legolas, I had plenty of things distracting me during the movie -- but I'll try my best.

The first thing you notice is that Peter Jackson's epic trademark hasn't changed. Sweeping vistas paired with Howard Shore's familiar-by-now score are magnificent and appropriate for the film's setting. These were moving cinematic gestures, but at times I longed for Jackson to get to the juicy parts in the book. Lest you thought you were coming to see some fluffy movie about elves and hobbits, make no mistake about it: The Two Towers is an ACTION movie. Yes, the battle scenes are so breathtaking and overwhelming that lulls in action are permitted and sometimes welcome. The Battle of Helm's Deep and the destruction of Isengard were exactly as I envisioned them: arrows raining all over the place, seemingly endless waves of orcs. Everything about the production is meticulous and well-crafted, from the Elven armor to the crowded, dirty trenches where those too old and those too young are preparing for battle. I mention these two scenes because they are the climax of the film, but the level of detail and care is obvious throughout the film (and was so in Fellowship). And when Gandalf the White appears to the East? There are no words. If you've seen it--and I hope you've seen it if you're reading this review--then I need not say anything more. But can I just mention here the sheer ass-kicking coolness of Legolas, physics-defying feats aside? Yes, I think I shall.

One of the reasons I liked The Two Towers (book) better than Fellowship (book) is because, well, now we get to learn more about the characters. And I'm glad they showed that in the movies. Aragorn, Legolas, and Gimli are a priceless trio, and their friendship hasn't been hurt by the film's decision to turn Gimli into comic relief material. We get to see the growing friendships between dwarf and elf, between elf and human, and this is one of the most important concerns of the story: the unification of all races in facing evil. We get to see Gimli's humor (that in abundance), Legolas's playfulness, and Aragorn's heartache (I'll refrain from ranting about the changes in the Elrond/Arwen/Aragorn storyline -- they weren't too distracting). We get to see MORE of Middle Earth, more of why it's such a fascinating universe: Gondor, Rohan, Fangorn Forest, Mordor. The film touches upon various races and factions: the wild men, the Ents, the Rohan men, and the Gondor men. The film truly takes us into a world of its own. Ian McKellen is once again the most outstanding actor (and deserving of a supporting actor nod) as the powerful Gandalf the White, and the rest have robbed me of the ability to discern whether I'm being biased. I might as well admit that I am. These people have grown on me, and I really don't care how the actors do as long as they remain Legolas, Gimli, Merry, Pippin, Frodo, and Samwise. And they do. And I guess that means they're doing a good job. Newcomers Karl Urban, Miranda Otto, and David Wenham are, well, fitting as Éomer, Éowyn, and Faramir. But I must admit I was disappointed with the wooden and rather shallow performance by Bernard Hill who portrays Théoden. Brad Dourif was awesome as Wormtongue, every bit the slimy sycophant. As for characters I am still rather skeptical about, Treebeard and Gollum are among their number of course. I guess it's always hard for me to swallow pure CGI characters not named Yoda. It doesn't that the image of a certain bouncy (poorly-created, at that) house elf was still fresh in my mind. I think the greatest thing about Gollum was its voice and motion-acting. I'm not so sure about the CGI rendering. It's unfair to ask them to be perfect with a technology that's still evolving, and besides no one really knows what Gollum looks like. But still. The same thing goes for Treebeard, who looked a bit too--how do I put this--Scooby Dooish. Not that he looks like Scooby Doo. But the animation and the voice combined for a character that seemed too cartoonish for its epic settings. The Ents on the whole could have been done a lot better, I think.

Two Towers the movie follows very much in the footsteps of Fellowship, stylistically speaking. This I have mentioned before. Breathtaking action, poetic, new agey and sometimes too-long lulls that serve, I reckon, one good purpose: We get to admire the beauty of Middle Earth. Which perhaps is the plan. To truly appreciate Sam's grand speech at the end, we need to immerse ourselves in their world, share their pain and their wonder. The continuity also meant, unfortunately, that we had to endure more of Arwen's character. I really don't want to sound like I hate Arwen or Liv Tyler. I don't. I think Liv Tyler is beautiful and fitting as Arwen, and I don't mind so much her extended presence as her scenes' awkward placement in the film. Not to mention the fact that the film completely twisted the Elrond/Arwen/Aragorn relationship around. But I already said I wouldn't talk about that. In the interest of continuity, certain flaws also had to continue in the films. But I guess it is for the best, because nothing would trouble me more than a completely change of style between the first and second movies. As with the previous movie, this one can sometimes seem bloated and self-indulgent. There are sometimes awkward moments in this one when Jackson tries to achieve a balance between the details the average movie-viewer wouldn't care about (Sam's rabbit-roasting moment) and cinematic flourishes Tolkien die-hards might cringe at (for example, Aragorn's cliff fall was never in the book). There are too many instances here to enumerate one-by-one. Most likely ones will be brought up that I haven't even noticed. I don't envy his job, and I think he's done a remarkable job given the difficulty of trying to squeeze so much into three and a half hours (and yes, kids, that is short when you realize how much has been left out or pushed to the next movie, which might end up being five hours long if I have anything to do with it).

_Calculated crystals that have nothing to do with the page_
1.
This record from Materials Project describes crystalline Li4VF7 at its relaxed geometry. The functional is PBE+U.

Summary:
* DFT total energy: -0.1944 Ha/atom
* crystal system: cubic
* energy relative to the elements: -3191 meV/atom
* energy relative to the lowest polymorph listed for this composition: 0.00 kJ per mole of atoms

abc: 5.9854 5.9854 5.9854
angles: 60.00 60.00 60.00
Fractional positions:
F 0.2500 0.2500 0.2500
F 0.2363 0.7637 0.2363
F 0.7637 0.2363 0.2363
F 0.2363 0.2363 0.7637
F 0.7637 0.2363 0.7637
F 0.7637 0.7637 0.2363
F 0.2363 0.7637 0.7637
Li 0.3739 0.3739 0.3739
Li 0.3739 0.8782 0.3739
Li 0.3739 0.3739 0.8782
Li 0.8782 0.3739 0.3739
V 0.0000 0.0000 0.0000

---

2.
This record from Materials Project describes crystalline LiVF5 at its relaxed geometry. The functional is PBE+U.

Summary:
* DFT total energy: -0.2001 Ha/atom
* crystal system: orthorhombic
* energy relative to the elements: -3080 meV/atom
* energy relative to the lowest polymorph listed for this composition: 1.46 kJ per mole of atoms

abc: 6.8439 7.3539 7.6558
angles: 90.00 90.00 90.00
Fractional positions:
F 0.2420 0.9988 0.3759
F 0.2420 0.5012 0.3759
F 0.7420 0.4988 0.1241
F 0.2580 0.5012 0.8759
F 0.2114 0.2500 0.6261
F 0.7886 0.7500 0.3739
F 0.7114 0.7500 0.8739
F 0.9773 0.2500 0.3397
F 0.0227 0.7500 0.6603
F 0.2580 0.9988 0.8759
F 0.5227 0.2500 0.8397
F 0.9862 0.2500 0.9103
F 0.4773 0.7500 0.1603
F 0.7580 0.4988 0.6241
F 0.7580 0.0012 0.6241
F 0.0138 0.7500 0.0897
F 0.5138 0.2500 0.4103
F 0.7420 0.0012 0.1241
F 0.4862 0.7500 0.5897
F 0.2886 0.2500 0.1261
Li 0.6775 0.2500 0.6219
Li 0.1775 0.7500 0.8781
Li 0.3225 0.7500 0.3781
Li 0.8225 0.2500 0.1219
V 0.7451 0.7500 0.1244
V 0.7549 0.7500 0.6244
V 0.2549 0.2500 0.8756
V 0.2451 0.2500 0.3756

---

3.
This record from Materials Project describes crystalline LiVF5 at its relaxed geometry. The functional is PBE+U.

Summary:
* total magnetic moment: 8.00 Bohr magnetons per cell
* DFT total energy: -0.1994 Ha/atom
* crystal system: monoclinic
* energy relative to the elements: -3060 meV/atom
* energy relative to the lowest polymorph listed for this composition: 3.40 kJ per mole of atoms

abc: 7.9055 9.4023 13.3651
angles: 51.41 90.00 90.00
Fractional positions:
F 0.1904 0.9761 0.9740
F 0.5925 0.6719 0.6415
F 0.3096 0.9761 0.4740
F 0.7960 0.9513 0.7336
F 0.5953 0.7566 0.1374
F 0.2702 0.5560 0.8866
F 0.9075 0.6719 0.1415
F 0.2040 0.0487 0.2664
F 0.2455 0.3816 0.6482
F 0.9061 0.2650 0.5342
F 0.4075 0.3281 0.3585
F 0.2960 0.0487 0.7664
F 0.2545 0.3816 0.1482
F 0.0939 0.7350 0.4658
F 0.5732 0.2567 0.5789
F 0.7702 0.4440 0.6134
F 0.0925 0.3281 0.8585
F 0.9047 0.7566 0.6374
F 0.4832 0.8414 0.7334
F 0.9268 0.2567 0.0789
F 0.0732 0.7433 0.9211
F 0.1624 0.8840 0.6850
F 0.2298 0.5560 0.3866
F 0.7545 0.6184 0.3518
F 0.0168 0.8414 0.2334
F 0.4061 0.7350 0.9658
F 0.5939 0.2650 0.0342
F 0.8096 0.0239 0.0260
F 0.8376 0.1160 0.3150
F 0.9832 0.1586 0.7666
F 0.3376 0.8840 0.1850
F 0.6904 0.0239 0.5260
F 0.4047 0.2434 0.8626
_Back to the page_

My reservations with regards to Jackson's choices in his adaptation have prevented me from enjoying this movie to the fullest. It's something that I can't help, and yet I have to be honest with myself when grading this movie. But I can't help but also forgive all of the film's flaws because I am utterly enthralled by Middle Earth, by Tolkien and Jackson's artistic visions. I'm still in awe of the films' cinematic grandeur and the films' grasp of the force of the characters' will and strength. Their collective love and loyalty towards Middle Earth. And I can't wait to see how Jackson brings about the end of all things. God bless you, Samwise Gamgee.

"There's some good in this world, Mr. Frodo. And it's worth fighting for."

Attached: records of crystals =
No. 1
Compound: TbTlPd
Source: Materials Project
Functional: r2SCAN
Structure: optimized geometry

E, eV for the cell shown: -328.74
M_tot, Bohr magnetons per cell: 0.00

Cell lengths 7.807, 7.807, 3.785 Å; angles 90.00, 90.00, 120.00 degrees
Atoms (fractional coordinates):
Tl  0.732  0.732  0.000
Pd  0.667  0.333  0.000
Tl  0.000  0.268  0.000
Tb  0.598  0.000  0.500
Tb  0.000  0.598  0.500
Tl  0.268  0.000  0.000
Pd  0.000  0.000  0.500
Pd  0.333  0.667  0.000
Tb  0.402  0.402  0.500


No. 2
Compound: Hf7Cu10
Source: Materials Project
Functional: r2SCAN
Structure: optimized geometry

E, eV for the cell shown: -855.87
M_tot, Bohr magnetons per cell: 0.00

Cell lengths 7.751, 7.751, 9.218 Å; angles 90.00, 90.00, 107.54 degrees
Atoms (fractional coordinates):
Hf  0.812  0.812  0.309
Cu  0.607  0.607  0.102
Hf  0.311  0.689  0.000
Cu  0.943  0.650  0.007
Cu  0.850  0.557  0.507
Hf  0.513  0.013  0.250
Cu  0.393  0.393  0.898
Hf  0.312  0.312  0.191
Cu  0.338  0.629  0.705
Cu  0.871  0.162  0.205
Cu  0.557  0.850  0.507
Cu  0.893  0.893  0.602
Cu  0.057  0.350  0.993
Cu  0.629  0.338  0.705
Hf  0.188  0.188  0.691
Cu  0.662  0.371  0.295
Hf  0.689  0.311  0.000
Hf  0.013  0.513  0.250
Hf  0.000  0.000  0.000
Cu  0.838  0.129  0.795
Hf  0.688  0.688  0.809
Cu  0.162  0.871  0.205
Hf  0.189  0.811  0.500
Cu  0.650  0.943  0.007
Cu  0.129  0.838  0.795
Cu  0.150  0.443  0.493
Cu  0.107  0.107  0.398
Hf  0.811  0.189  0.500
Hf  0.487  0.987  0.750
Cu  0.443  0.150  0.493
Hf  0.987  0.487  0.750
Cu  0.350  0.057  0.993
Cu  0.371  0.662  0.295
Hf  0.500  0.500  0.500


No. 3
Compound: ErSnRu2
Source: Materials Project
Functional: r2SCAN
Structure: optimized geometry

E, eV for the cell shown: -111.22
M_tot, Bohr magnetons per cell: 0.00

Cell lengths 4.620, 4.620, 4.620 Å; angles 60.00, 60.00, 60.00 degrees
Atoms (fractional coordinates):
Sn  0.750  0.750  0.750
Ru  0.500  0.500  0.500
Ru  0.000  0.000  0.000
Er  0.250  0.250  0.250


No. 4
Compound: CaAg3
Source: Materials Project
Functional: r2SCAN
Structure: optimized geometry

E, eV for the cell shown: -71.73
M_tot, Bohr magnetons per cell: 0.00

Cell lengths 4.881, 4.881, 4.881 Å; angles 60.00, 60.00, 60.00 degrees
Atoms (fractional coordinates):
Ag  0.750  0.750  0.750
Ca  0.000  0.000  0.000
Ag  0.250  0.250  0.250
Ag  0.500  0.500  0.500


No. 5
Compound: PdF2
Source: Materials Project
Functional: r2SCAN
Structure: optimized geometry

E, eV for the cell shown: -66.49
M_tot, Bohr magnetons per cell: 4.00

Cell lengths 3.428, 4.976, 4.976 Å; angles 90.00, 90.00, 90.00 degrees
Atoms (fractional coordinates):
Pd  0.000  0.000  0.000
Pd  0.500  0.500  0.500
F  0.000  0.693  0.693
F  0.500  0.193  0.807
F  0.000  0.307  0.307
F  0.500  0.807  0.193


No. 6
Compound: ScN
Source: Materials Project
Functional: r2SCAN
Structure: optimized geometry

E, eV for the cell shown: -24.90
M_tot, Bohr magnetons per cell: 0.00

Cell lengths 3.190, 3.190, 3.190 Å; angles 60.00, 60.00, 60.00 degrees

Rating: A- (First viewing, 12/18/02)